Disclaimer: I don't own YuGiOh

A/N: My first YuGiOh fiction… Hope you enjoy! I think I like it a lot. (But that could be because I wrote it :B) And I would use the Japanese names, because I know them all, but I'm too lazy… XD


"Where's Tea?" Yugi asked Joey at school, one month after the pharaoh's leave.

"I don't know… She's been skipping class a lot lately… I think she's like, depressed or something." Joey scratched his head.

Yugi sighed and looked down. He wouldn't show it, but he felt the same way recently. "I'm going to go find her. I'll see you later!" Yugi waved and walked off.


Tea was on the roof of the school, sitting on the rail next to the high fence that blocked her from falling. She sighed and looked out into the distance. It had been a month since he left. It was hard to believe, but life had gone back to normal since then. School had gone on the same way, with the teacher droning on about school work, and it seemed like nobody cared that Yugi was only one person again.

Tea remembered when he had left. She promised herself that she wouldn't forget him no matter what. But that promise wasn't hard to follow through with…

She remembered how before, she had been so jealous when Rebecca hit on Yugi, but recently she didn't mind. It was like she didn't have any feelings for Yugi anymore. When had the feelings first started anyway? When he got the puzzle.

Suddenly, she realized the answers to her confusion. She fell in love with that intense face that faced all danger head on. Not the cute one that smiled at her at school. It wasn't Yugi she was in love with… It was… Atem…

She pulled her knees to her chest and squeezed her eyes shut, trying to stop the tears that were already rolling down her cheeks.

Falling in love really is to fall, isn't it…?

"You miss him too, huh?" Tea looked up and saw Yugi next to her, leaning on the rail.

Tea quickly wiped her tears and responded with a soft. "Yeah…"

Yugi looked up at her. "I may be assuming… but… you had feelings for him, didn't you?" When Tea didn't respond, Yugi moved closer to her and continued. "If it makes you feel any better, I think he might've felt something for you also…"

There was a silence between them before Tea suddenly looked up at Yugi, her eyes filling with tears. She grabbed him and hugged him, choked sobs escaping her throat. "I still don't understand… why he had to go…"

"I don't really understand either, Tea, I don't really understand either."


Atem looked into the sky and thought about what he had left behind. Here in Egypt, as pharaoh, he felt lonely… Sure, he had his friends here to keep him company, but it wasn't the same. They treated him like pharaoh, not like a normal everyday person. It felt like slowly, he was falling…

He leaned forward through his window, and felt the hot breeze blow through his hair.

"Don't worry about it, it'll all come together!"

Tea's voice and smiling face flickered through his head. He opened his eyes. That had been happening a lot lately.

He hadn't been able to see the Egyptian Tea that often, and he missed seeing her future form, always there for him.

He closed his eyes once again. Oh great god, Ra, please grant my wish. Let me be with them once more…

Somewhere inside his head, a deep voice answered his prayer. "Very well then. If you so desire to return to that time, I will give you a second chance. But on one condition: You must find the truest, purest, deepest reason you wish to return within one week. Or else you must return again, and those you visit there will have no memories of your being there."

Atem was surprised, but he nodded. All I want is a second chance…


Yugi returned home with a heavy heart, and he knew Tea did the same. No matter how much they pretended that they were okay with Atem's leave, they knew it wasn't the truth.

Sometimes Yugi would even put on the puzzle; jut to see if he was there, but the only thing he felt was the cold metal around his neck. He missed the consoling voice inside his mind.

Today he did the same. He opened his drawer to take out the puzzle. He stared at it for a moment, sighing. Without warning, the puzzle began glowing. Yugi gasped and stepped back. The light became brighter and brighter until Yugi had to close his eyes from the blinding light.

He opened his eyes and it cleared, leaving a figure kneeling on the ground. When Yugi's eyes adjusted, he saw a mirror image of himself, except taller, with darker skin, and white Egyptian robes.

"A-Atem?" Yugi asked disbelievingly.

Atem looked up and smiled. "Hello Yugi."

"Oh no! This time, I've really lost it!" Yugi rubbed his eyes. "Someone help me, I'm going crazy!"

### What comes next are crystal structures, not part of the page
~~~
1.
Below is an optimized crystal structure of Li3Pm2TmS6, with properties calculated at the PBE level.

Cell: 6.8889 6.8889 6.5952 Å, 99.90 99.90 120.08°
With the nearest neighbours (Å) after each atom.
Sites, in units of the cell vectors:
S1 0.2404 0.2404 0.7487  3 Li 2.67-2.81, 1 Tm 2.71, 2 Pm 2.81
S2 0.9162 0.5936 0.7469  3 Li 2.72-2.90, 1 Tm 2.72, 2 Pm 2.81
S3 0.7596 0.7596 0.2513  3 Li 2.67-2.81, 1 Tm 2.71, 2 Pm 2.81
S4 0.4064 0.0838 0.2531  3 Li 2.72-2.90, 1 Tm 2.72, 2 Pm 2.81
S5 0.0838 0.4064 0.2531  3 Li 2.72-2.90, 1 Tm 2.72, 2 Pm 2.81
S6 0.5936 0.9162 0.7469  3 Li 2.72-2.90, 1 Tm 2.72, 2 Pm 2.81
Pm1 0.3327 0.6673 0.0000  6 S 2.81
Pm2 0.6673 0.3327 0.0000  6 S 2.81
Li1 0.1586 0.8414 0.5000  6 S 2.67-2.90
Li2 0.8414 0.1586 0.5000  6 S 2.67-2.90
Li3 0.5000 0.5000 0.5000  6 S 2.73-2.81
Tm1 0.0000 0.0000 0.0000  6 S 2.71-2.72

Energy relative to the elements, uncorrected (eV per atom): -1.815
VASP energy (eV/atom): -5.522

***

2.
Below is an optimized crystal structure of LiPm2TmS4, with properties calculated at the PBE level.

Cell: 3.9311 6.7794 6.8258 Å, 109.37 90.00 90.00°
With the nearest neighbours (Å) after each atom.
Sites, in units of the cell vectors:
Li1 0.0000 0.0000 0.0000  6 S 2.69-2.72
S1 0.5000 0.2444 0.2333  1 Tm 2.71, 2 Li 2.72, 3 Pm 2.84
S2 0.0000 0.2535 0.7683  1 Li 2.69, 2 Tm 2.72, 3 Pm 2.84-2.86
S3 0.5000 0.7556 0.7667  1 Tm 2.71, 2 Li 2.72, 3 Pm 2.84
S4 0.0000 0.7465 0.2317  1 Li 2.69, 2 Tm 2.72, 3 Pm 2.84-2.86
Pm1 0.0000 0.5000 0.5000  6 S 2.84-2.86
Pm2 0.5000 0.0000 0.5000  6 S 2.84
Tm1 0.5000 0.5000 0.0000  6 S 2.71-2.72

Energy relative to the elements, uncorrected (eV per atom): -1.922
VASP energy (eV/atom): -5.972

***

3.
Below is an optimized crystal structure of Li4PmTm3S8, with properties calculated at the PBE level.

Cell: 7.8052 7.6460 7.8035 Å, 120.72 120.01 90.00°
With the nearest neighbours (Å) after each atom.
Sites, in units of the cell vectors:
S1 0.2548 0.7506 0.5096  3 Li 2.68-2.76, 2 Tm 2.71, 1 Pm 2.78
S2 0.2549 0.7506 0.9961  3 Li 2.68-2.76, 2 Tm 2.71, 1 Pm 2.78
S3 0.7451 0.2494 0.0039  3 Li 2.68-2.76, 2 Tm 2.71, 1 Pm 2.78
S4 0.7490 0.7466 0.4980  3 Tm 2.72, 3 Li 2.74
S5 0.7452 0.2494 0.4904  3 Li 2.68-2.76, 2 Tm 2.71, 1 Pm 2.78
S6 0.7413 0.7506 0.9961  3 Li 2.68-2.76, 2 Tm 2.71, 1 Pm 2.78
S7 0.2587 0.2494 0.0039  3 Li 2.68-2.76, 2 Tm 2.71, 1 Pm 2.78
S8 0.2510 0.2534 0.5020  3 Tm 2.72, 3 Li 2.74
Li1 0.0000 0.0000 0.0000  6 S 2.74-2.76
Li2 0.5000 0.0000 0.0000  6 S 2.68
Li3 0.0000 0.0000 0.5000  6 S 2.74-2.76
Li4 0.5000 0.0000 0.5000  6 S 2.74-2.76
Tm1 0.5000 0.5000 0.0000  6 S 2.71-2.72
Tm2 0.5000 0.5000 0.5000  6 S 2.71-2.72
Tm3 0.0000 0.5000 0.5000  6 S 2.71-2.72
Pm1 0.0000 0.5000 0.0000  6 S 2.78

Energy relative to the elements, uncorrected (eV per atom): -1.841
VASP energy (eV/atom): -5.518

***

no.,density of states at the Fermi level (states/eV per atom)
1,0.000
2,0.319
3,0.000
~~~

Atem laughed. "No, you're not, it's really me. The gods gave me a second chance here." He paused. "There is something I need to find in myself… and I have a week to do it. If I don't, then I'll return to Egypt, and you won't have any memory of my visit."

Yugi's face fell. "Oh…"

Atem put a hand on Yugi's shoulder. "Don't worry. I assure you, I will find it." He gave Yugi a smile, and Yugi smiled back.

_Attached: data records_
........
No. 1
CaZnNi2: relaxed, PBE.

The space group is Pmmm (No. 47) and the conventional cell measures 2.972, 3.373 and 6.312 Å, with angles of 90.00, 90.00 and 90.00 degrees. The asymmetric unit holds Ca at (0.000, 0.000, 0.000), Zn at (0.000, 0.000, 0.500) and Ni at (0.500, 0.500, 0.307).

The calculation puts the uncorrected energy at -3.75 eV per atom. Its density of states at the Fermi level is 2.9 states/eV/cell. The formation energy comes out at -0.04 eV per atom. The value obtained for the volume is 63.27 Å³ per cell.

No. 2
Ca2Zn5Ni4: relaxed, PBE.

The space group is C2/m (No. 12) and the conventional cell measures 11.896, 5.275 and 7.780 Å, with angles of 90.00, 127.47 and 90.00 degrees. The asymmetric unit holds Ca at (0.229, 0.000, 0.295), Zn at (0.000, 0.500, 0.000), Zn at (0.042, 0.247, 0.752), Ni at (0.123, 0.000, 0.570) and Ni at (0.227, 0.500, 0.050).

The calculation puts the uncorrected energy at -3.21 eV per atom. Its density of states at the Fermi level is 13.4 states/eV/cell. The formation energy comes out at -0.17 eV per atom. The value obtained for the volume is 387.46 Å³ per cell.

No. 3
CaZn2Ni2: relaxed, PBE.

The space group is I4/mmm (No. 139) and the conventional cell measures 4.052, 4.052 and 20.477 Å, with angles of 90.00, 90.00 and 90.00 degrees. The asymmetric unit holds Ca at (0.000, 0.000, 0.130), Zn at (0.000, 0.000, 0.316), Zn at (0.000, 0.500, 0.000), Ni at (0.000, 0.000, 0.435) and Ni at (0.000, 0.500, 0.250).

The calculation puts the uncorrected energy at -3.45 eV per atom. Its density of states at the Fermi level is 9.3 states/eV/cell. The formation energy comes out at -0.22 eV per atom. Its energy above the most stable polymorph in this dataset is 0.0000 eV per atom. The value obtained for the volume is 336.15 Å³ per cell.

No. 4
CaZn3Ni2: relaxed, PBE.

The space group is P6/mmm (No. 191) and the conventional cell measures 9.0302, 9.0302 and 4.0854 Å, with angles of 90.00, 90.00 and 120.00 degrees. The asymmetric unit holds Ca at (0.0000, 0.0000, 0.0000), Ca at (0.3333, 0.6667, 0.5000), Zn at (0.0000, 0.2929, 0.5000), Zn at (0.0000, 0.5000, 0.0000) and Ni at (0.1822, 0.3644, 0.0000).

The calculation puts the uncorrected energy at -3.20 eV per atom. Its density of states at the Fermi level is 11.7 states/eV/cell. The formation energy comes out at -0.31 eV per atom. The value obtained for the volume is 288.51 Å³ per cell.

No. 5
CaZnNi: relaxed, PBE.

The space group is P-1 (No. 2) and the conventional cell measures 4.108, 5.345 and 6.023 Å, with angles of 74.90, 70.09 and 89.84 degrees. The asymmetric unit holds Ca at (0.118, 0.302, 0.265), Zn at (0.400, 0.264, 0.699) and Ni at (0.219, 0.879, 0.062).

The calculation puts the uncorrected energy at -3.27 eV per atom. Its density of states at the Fermi level is 3.1 states/eV/cell. The formation energy comes out at -0.25 eV per atom. The value obtained for the volume is 119.52 Å³ per cell.

No. 6
CaZnNi2: relaxed, PBE.
........

Suddenly, something snapped into Yugi's head. "Oh!" He said. "I think there's someone who wants to see you!"

"Huh?" Atem blinked.

"Oh, but you can't go out looking like this, I'll have to find you some normal clothes!" Yugi shuffled through his closet. "I think these will fit you!" Yugi pulled out the black shirt that he used to always wear and a pair of jeans that were reasonably long for him. "Come on, let's go!"



A/N: Hey, chapter one is finished! Please review!